Exercise:
It remains to quote only the lines further below with the word "model" in them.
Excerpt:
____________
1.
For NaAl5Ag7, a crystal structure in Alexandria, relaxed with GGA-PBE gives the theoretical powder diffractogram in this record (CuKα).
Lines closer than 0.1° are merged.

Structural model:
Unit cell a=7.1073 b=7.1073 c=7.1073 alpha=135.14 beta=98.23 gamma=98.52
Fractional positions:
Na 0.0000 0.0000 0.0000
Al 0.4862 0.4899 0.4975
Al 0.4862 0.9888 0.9963
Al 0.7712 0.2712 0.5000
Al 0.9924 0.4899 0.0037
Al 0.9924 0.9888 0.5025
Ag 0.1938 0.4862 0.7076
Ag 0.2178 0.7178 0.5000
Ag 0.3373 0.9959 0.3414
Ag 0.3442 0.3442 0.0000
Ag 0.6545 0.9959 0.6586
Ag 0.6681 0.6681 0.0000
Ag 0.7787 0.4862 0.2924

Principal peaks in the range 2θ from 10° to 90°, by intensity:
d = 2.327 Å, 38.69°, intensity 100
d = 2.690 Å, 33.30°, intensity 66
d = 2.091 Å, 43.26°, intensity 61
d = 2.712 Å, 33.03°, intensity 49
d = 3.285 Å, 27.15°, intensity 45
d = 2.078 Å, 43.56°, intensity 38
d = 6.570 Å, 13.48°, intensity 36
d = 2.082 Å, 43.46°, intensity 35
d = 1.343 Å, 70.06°, intensity 20
d = 2.342 Å, 38.44°, intensity 20

***

2.
For NaLi2RuAu, a crystal structure in Alexandria, relaxed with GGA-PBE gives the theoretical powder diffractogram in this record (CuKα).
Lines closer than 0.1° are merged.

Structural model:
Unit cell a=4.7835 b=4.7835 c=4.9900 alpha=90.00 beta=90.00 gamma=90.00
Fractional positions:
Na 0.0000 0.0000 0.0000
Li 0.0000 0.5000 0.5000
Li 0.5000 0.0000 0.5000
Ru 0.5000 0.5000 0.5000
Au 0.5000 0.5000 0.0000

Principal peaks in the range 2θ from 10° to 90°, by intensity:
d = 4.784 Å, 18.55°, intensity 100
d = 3.382 Å, 26.35°, intensity 57
d = 2.212 Å, 40.79°, intensity 28
d = 2.008 Å, 45.16°, intensity 27
d = 2.392 Å, 37.61°, intensity 25
d = 2.139 Å, 42.25°, intensity 25
d = 1.624 Å, 56.68°, intensity 21
d = 1.727 Å, 53.04°, intensity 19
d = 2.495 Å, 36.00°, intensity 14
d = 1.294 Å, 73.17°, intensity 13

***

3.
For TlCuBiSe2, a crystal structure in Alexandria, relaxed with GGA-PBE gives the theoretical powder diffractogram in this record (CuKα).
Lines closer than 0.1° are merged.

Structural model:
Unit cell a=7.6145 b=4.1631 c=8.9258 alpha=90.00 beta=95.74 gamma=90.00
Fractional positions:
Tl 0.0000 0.1121 0.2500
Tl 0.0000 0.8879 0.7500
Cu 0.5000 0.0000 0.0000
Cu 0.5000 0.0000 0.5000
Bi 0.5000 0.4844 0.7500
Bi 0.5000 0.5156 0.2500
Se 0.2516 0.3420 0.9823
Se 0.2516 0.6580 0.4823
Se 0.7484 0.3420 0.5177
Se 0.7484 0.6580 0.0177

Principal peaks in the range 2θ from 10° to 90°, by intensity:
d = 2.753 Å, 32.53°, intensity 100
d = 2.888 Å, 30.96°, intensity 59
d = 3.649 Å, 24.40°, intensity 53
d = 3.036 Å, 29.42°, intensity 49
d = 3.319 Å, 26.86°, intensity 41
d = 3.788 Å, 23.48°, intensity 35
d = 2.010 Å, 45.11°, intensity 33
d = 2.220 Å, 40.63°, intensity 33
d = 1.894 Å, 48.03°, intensity 21
d = 1.880 Å, 48.43°, intensity 18

***

4.
For Ba2SbC, a crystal structure in Alexandria, relaxed with GGA-PBE gives the theoretical powder diffractogram in this record (CuKα).
Lines closer than 0.1° are merged.

Structural model:
Unit cell a=8.6289 b=8.6289 c=7.0993 alpha=90.00 beta=90.00 gamma=90.00
Fractional positions:
Ba 0.1749 0.2500 0.1250
Ba 0.2500 0.6749 0.3750
Ba 0.2500 0.8251 0.8750
Ba 0.3251 0.2500 0.6250
Ba 0.6749 0.7500 0.6250
Ba 0.7500 0.1749 0.8750
Ba 0.7500 0.3251 0.3750
Ba 0.8251 0.7500 0.1250
Sb 0.0000 0.0000 0.5000
Sb 0.0000 0.5000 0.7500
Sb 0.5000 0.0000 0.2500
Sb 0.5000 0.5000 0.0000
C 0.0000 0.0000 0.0000
C 0.0000 0.5000 0.2500
C 0.5000 0.0000 0.7500
C 0.5000 0.5000 0.5000

Principal peaks in the range 2θ from 10° to 90°, by intensity:
d = 3.390 Å, 26.29°, intensity 100
d = 3.068 Å, 29.10°, intensity 93
d = 3.051 Å, 29.27°, intensity 52
d = 2.666 Å, 33.62°, intensity 38
d = 2.163 Å, 41.75°, intensity 34
d = 1.677 Å, 54.74°, intensity 25
d = 1.683 Å, 54.53°, intensity 24
d = 1.641 Å, 56.03°, intensity 23
d = 2.268 Å, 39.75°, intensity 15
d = 1.563 Å, 59.11°, intensity 14

***

5.
For Ca2SmN2Cl2, a crystal structure in Alexandria, relaxed with GGA-PBE gives the theoretical powder diffractogram in this record (CuKα).
____________
Outcome:
Structural model:
Structural model:
Structural model:
Structural model: